### To do
Quote the lines further below from the one with "C4H3N3 in" to the one with "-0.42254 0.25" without altering anything.

### Input
=====
A molecular structure, C22H27CeF4N5O, computed with ωB97M-V/def2-TZVPD.

XYZ file:
```
60
Properties=species:S:1:pos:R:3:mulliken_spin:R:1
H -1.75415 -2.06126 4.84469 0.00
H -3.98016 1.31896 0.31550 0.00
C 1.23516 0.32872 4.23386 0.00
F -2.24032 -1.05427 -1.41801 0.00
H -1.17769 3.81832 -1.84005 0.00
N 0.33295 -1.28610 -0.74325 -0.01
H 0.57840 3.18471 -2.84488 0.00
C -0.14529 -3.61873 0.02341 0.00
C 1.70014 0.48107 -3.36497 0.00
F -0.68449 -5.75088 0.78149 0.00
H 1.10392 -0.93055 -4.83283 0.00
H 0.06946 -0.97822 5.45268 0.00
C -2.77511 -3.23489 -0.67743 0.00
C -2.80250 2.45850 -1.18353 0.00
H 2.75966 0.50411 -3.66429 0.00
H 2.57011 0.50803 -0.13713 0.00
H 3.29445 2.15502 -1.87014 0.00
C -1.09601 -4.60846 0.21967 0.00
H 1.98246 0.53393 4.98368 0.00
N -0.76552 -0.75197 3.57063 0.00
H 2.31984 2.12744 1.67074 0.00
H 0.04495 -0.93794 -3.42320 0.00
C 2.20110 2.21339 -1.76629 0.00
H 1.62357 -1.70294 -3.34566 0.00
C 2.39862 -0.04839 -1.06501 0.00
F 1.11616 -3.86192 0.43907 0.00
H -2.29278 2.39610 2.09627 0.00
H -3.28735 2.20210 -2.11539 0.00
C 1.08217 -0.84833 -3.74559 0.00
H -0.54756 3.93023 0.76827 0.00
H 2.16618 -1.67488 0.27165 0.00
H 3.39961 -0.19182 -1.49536 0.00
C -0.46447 -2.38156 -0.55136 0.00
C -1.35680 3.36331 0.32893 -0.01
Ce -0.79066 0.77679 -0.47806 1.01
C -3.17629 2.00695 0.09807 0.00
C 0.19701 -0.49089 4.49640 0.00
C 1.65395 3.27869 -2.69613 0.00
C -1.88221 -1.66734 3.84076 0.00
N 0.38447 0.60478 2.00549 0.00
H 1.20850 1.26781 -3.93529 0.00
C -1.67973 3.29687 -1.04057 0.01
F -4.03961 -2.97799 -1.02593 0.00
H 2.02463 2.50757 -0.72193 0.00
H 2.13018 3.24944 -3.67436 0.00
H -3.14595 -5.23942 0.03684 0.00
H 1.83452 4.26636 -2.27173 0.00
N 1.61869 0.86266 -1.93730 0.00
C 1.29984 0.89279 2.92301 0.00
H -2.82388 -1.13006 3.76929 0.00
C -2.42508 -4.45158 -0.11840 0.00
H 2.12794 -2.19760 -1.38298 0.00
C -0.67477 -0.17690 2.33475 0.00
C -1.82388 -2.26864 -0.88684 0.00
H -1.86291 -2.47845 3.11657 0.00
O -1.56574 -0.38035 1.48718 0.00
C 1.77360 -1.40496 -0.71671 0.00
H 3.01230 1.97319 3.24493 0.00
N 2.29893 1.71419 2.58697 0.00
C -2.28258 2.56528 1.02981 0.00
```

Values from the calculation:
- Charge: +1
- Energy: -56545.98717 eV
- Energy above the lowest of the compared OMol25 structures with the same formula, charge and spin: 0.000 eV
- Kohn-Sham gap (alpha / beta): 7.316 / 7.318 eV
- Lowest unoccupied orbital energy (alpha / beta): -2.89 / -2.88 eV
- Multiplicity: 2
- HOMO (alpha / beta): -10.202 / -10.201 eV
- ⟨S²⟩: 0.751

---

C4H3N3 in the gas phase, computed with ωB97M-V/def2-TZVPD.

XYZ file:
```
10
Properties=species:S:1:pos:R:3:mulliken_charge:R:1
H 0.71143 1.79599 -0.22779 0.26
H -1.55446 1.40814 -0.12153 0.33
C -1.36857 -0.69589 0.07953 -0.44
N -0.33614 -1.61827 0.12487 -0.13
N 2.83758 0.25759 0.22551 -0.52
C 1.68115 0.10154 0.07037 0.36
C 0.84077 -1.58211 -0.01101 -0.04
H -2.39214 -1.03319 0.16150 0.40
C -0.88931 0.54721 -0.08097 -0.02
N 0.46970 0.81900 -0.22047 -0.20
```

Values from the calculation:
- Energy: -8662.56893 eV
- Energy above the lowest of the compared OMol25 structures with the same formula, charge and spin: 3.842 eV
- Kohn-Sham gap: 8.714 eV
- Lowest unoccupied orbital energy: -0.46 eV
- Multiplicity: 1
- HOMO: -9.172 eV

---

C10H12N2O2 in the gas phase, computed with ωB97M-V/def2-TZVPD.

XYZ file:
```
26
Properties=species:S:1:pos:R:3:mulliken_charge:R:1
H -2.60103 -1.70730 1.54547 0.34
H -2.77530 -0.35768 3.57648 0.41
C -0.87922 0.61668 3.31377 -0.44
H 0.74448 -1.70279 -2.53897 0.41
H 2.57528 1.63674 -2.28756 0.22
C -1.94771 -0.23314 2.92115 -0.50
N 0.72731 -0.94999 -0.74059 0.16
C 0.31885 0.57063 2.56036 -0.64
H 0.97997 0.38440 -3.95251 0.34
H 2.22179 -0.95126 -2.20196 0.38
H 1.37001 2.52111 -3.32408 0.39
H 1.14300 1.22923 2.98504 0.28
H -0.32780 0.67459 -2.82642 0.32
O 0.74874 2.39052 -1.42429 -0.59
C -0.64020 -1.24226 -0.42254 0.25
H -0.98199 1.26534 4.21448 0.34
C 1.48954 1.84744 -2.48904 -0.35
C 0.31545 -0.11753 1.32097 0.40
H 2.20447 -0.27394 0.46887 0.27
C 0.72263 0.51318 -2.88824 -0.63
=====

### Reply
C4H3N3 in the gas phase, computed with ωB97M-V/def2-TZVPD.

XYZ file:
```
10
Properties=species:S:1:pos:R:3:mulliken_charge:R:1
H 0.71143 1.79599 -0.22779 0.26
H -1.55446 1.40814 -0.12153 0.33
C -1.36857 -0.69589 0.07953 -0.44
N -0.33614 -1.61827 0.12487 -0.13
N 2.83758 0.25759 0.22551 -0.52
C 1.68115 0.10154 0.07037 0.36
C 0.84077 -1.58211 -0.01101 -0.04
H -2.39214 -1.03319 0.16150 0.40
C -0.88931 0.54721 -0.08097 -0.02
N 0.46970 0.81900 -0.22047 -0.20
```

Values from the calculation:
- Energy: -8662.56893 eV
- Energy above the lowest of the compared OMol25 structures with the same formula, charge and spin: 3.842 eV
- Kohn-Sham gap: 8.714 eV
- Lowest unoccupied orbital energy: -0.46 eV
- Multiplicity: 1
- HOMO: -9.172 eV

---

C10H12N2O2 in the gas phase, computed with ωB97M-V/def2-TZVPD.

XYZ file:
```
26
Properties=species:S:1:pos:R:3:mulliken_charge:R:1
H -2.60103 -1.70730 1.54547 0.34
H -2.77530 -0.35768 3.57648 0.41
C -0.87922 0.61668 3.31377 -0.44
H 0.74448 -1.70279 -2.53897 0.41
H 2.57528 1.63674 -2.28756 0.22
C -1.94771 -0.23314 2.92115 -0.50
N 0.72731 -0.94999 -0.74059 0.16
C 0.31885 0.57063 2.56036 -0.64
H 0.97997 0.38440 -3.95251 0.34
H 2.22179 -0.95126 -2.20196 0.38
H 1.37001 2.52111 -3.32408 0.39
H 1.14300 1.22923 2.98504 0.28
H -0.32780 0.67459 -2.82642 0.32
O 0.74874 2.39052 -1.42429 -0.59
C -0.64020 -1.24226 -0.42254 0.25